[Work order]
Could you copy the lines underneath up to the one that holds "-4.193753", that line included?

[Entries]
-- begin --
Record 1
Molecular formula: C6H9OPS
Method: DFT, the ωB97M-V functional and the def2-TZVPD basis

CARTESIAN COORDINATES (ANGSTROEM)
C 0.076180 -1.820554 -0.789733
P 1.132922 -0.373906 -0.388119
C 1.317265 -0.161804 1.445665
O 2.398944 -0.318147 -1.112033
C -0.067337 1.409320 -0.808597
C -1.334277 1.649349 -0.215390
C -1.927715 2.715843 -0.828387
S -0.882874 3.470702 -1.931399
C 0.232525 2.174004 -1.876475
H -0.726732 -2.012233 -0.014849
H -0.476553 -1.641869 -1.776518
H 0.548704 -2.814696 -0.998519
H 2.001582 -0.842668 1.830191
H 1.298131 0.984242 1.758402
H 0.369283 -0.664693 1.861597
H -1.713129 1.344746 0.711143
H -2.876832 3.144550 -0.589558
H 1.185540 1.956274 -2.414920

Atoms 1-6, force components in eV/Å:
-1.788 -0.789 -0.748
-2.083 2.966 0.581
-4.003 1.388 -0.397
0.926 -0.102 -0.805
1.104 -4.621 0.968
0.413 1.525 -1.032

Output
SMILES: CP(C)(=O)c1ccsc1
LUMO, eV: 0.7
Kohn-Sham gap, eV: 9.8
Net charge: 0
Relative energy (zero: lowest compared OMol25 entry of this formula, charge and spin), kcal per mole: 8.3

=====

Record 2
Molecular formula: C6HCeO6
Method: DFT, the ωB97M-V functional and the def2-TZVPD basis

CARTESIAN COORDINATES (ANGSTROEM)
O 0.681290 0.020350 -4.746751
C 0.558594 0.016583 -3.597850
Ce -0.065143 -0.002279 0.680116
O 2.902282 0.002804 -1.466304
C 1.946647 0.001378 -0.839958
C -2.417141 -0.019692 1.341156
O -3.543331 -0.028454 1.621795
C -0.272530 -2.462288 0.363529
O -0.404616 -3.603439 0.216795
C -0.320346 2.444389 0.314001
O -0.475860 3.582817 0.144059
H -0.996146 -0.026201 -0.915402
O 1.437249 0.044437 3.978016
C 0.969056 0.029596 2.906796

Atoms 1-6, force components in eV/Å:
-0.518 -0.016 4.685
0.379 0.016 -4.561
1.330 -0.007 -0.573
-3.383 -0.006 2.341
4.762 0.005 -3.320
-8.307 -0.067 1.793

Output
LUMO (spin up / spin down), eV: -16.2 / -16.2
Kohn-Sham gap (spin up / spin down), eV: 6.7 / 6.7
Net charge: +3
Relative energy (zero: lowest compared OMol25 entry of this formula, charge and spin), kcal per mole: 44.2

=====

Record 3
Molecular formula: C70H156F15N5O23P2S5
Method: DFT, the ωB97M-V functional and the def2-TZVPD basis

CARTESIAN COORDINATES (ANGSTROEM)
C -1.257577 -3.472241 4.697677
O -2.091287 -4.583401 4.968417
C -3.252177 -4.464171 4.264657
C -4.445847 -3.564491 4.811117
N -4.791647 -4.012411 6.273497
H -4.929287 -5.012731 6.250857
H -4.069357 -3.807801 6.949167
C -6.196287 -3.613171 6.818017
C -6.273047 -2.058191 6.958797
O -6.424767 -1.457011 5.708227
C -6.589937 -0.048141 5.816607
H -0.339237 -3.607901 5.268957
H -1.667517 -2.540481 5.087377
H -0.948127 -3.318081 3.663957
H -3.563877 -5.508581 4.276807
H -3.188957 -4.478291 3.176587
H -5.325697 -3.860281 4.239747
H -4.330297 -2.481341 4.771937
H -6.328017 -4.161241 7.750947
H -6.960647 -4.048051 6.174037
H -5.463527 -1.643891 7.559747
H -7.156077 -1.814481 7.549537
H -5.858247 0.464209 6.441287
H -7.538477 0.158879 6.312097
H -6.651647 0.317439 4.791597
C -0.143937 -1.867521 -5.821183
O -0.535567 -2.977201 -5.076593
C -0.712737 -4.124511 -5.887673
C -2.156177 -4.154151 -6.394223
N -3.077237 -4.705431 -5.346483
H -3.947997 -4.900721 -5.819503
H -2.753897 -5.562911 -4.921903
C -3.379127 -3.788811 -4.193753
C -4.337477 -4.515831 -3.192683
O -5.471007 -5.017931 -3.911693
C -6.472607 -5.477861 -3.074493
H 0.905463 -1.875501 -6.115793
H -0.159547 -0.913031 -5.295053
H -0.878697 -1.713031 -6.611353
H -0.424117 -5.056841 -5.402333
H -0.162787 -4.201811 -6.825583
H -2.233767 -5.010571 -7.064023
H -2.447947 -3.236621 -6.905193
H -3.743647 -2.829091 -4.560043
H -2.368367 -3.680851 -3.800313
H -4.648357 -3.861161 -2.378533
H -3.873617 -5.265951 -2.552173
H -7.116477 -6.013711 -3.771923
H -6.999467 -4.657121 -2.587763
H -6.035777 -6.231731 -2.419543
C 6.020983 -2.972991 -2.774473
O 5.794083 -2.337751 -4.052343
C 4.546473 -1.879501 -4.429793
C 4.819553 -1.078351 -5.768403
N 5.665073 -1.845271 -6.760923
H 6.222973 -1.089761 -7.132493
H 6.292893 -2.577301 -6.460803
C 4.853263 -2.317011 -7.988003
C 5.655513 -3.266871 -8.893183
-- stop --

[Solution]
Record 1
Molecular formula: C6H9OPS
Method: DFT, the ωB97M-V functional and the def2-TZVPD basis

CARTESIAN COORDINATES (ANGSTROEM)
C 0.076180 -1.820554 -0.789733
P 1.132922 -0.373906 -0.388119
C 1.317265 -0.161804 1.445665
O 2.398944 -0.318147 -1.112033
C -0.067337 1.409320 -0.808597
C -1.334277 1.649349 -0.215390
C -1.927715 2.715843 -0.828387
S -0.882874 3.470702 -1.931399
C 0.232525 2.174004 -1.876475
H -0.726732 -2.012233 -0.014849
H -0.476553 -1.641869 -1.776518
H 0.548704 -2.814696 -0.998519
H 2.001582 -0.842668 1.830191
H 1.298131 0.984242 1.758402
H 0.369283 -0.664693 1.861597
H -1.713129 1.344746 0.711143
H -2.876832 3.144550 -0.589558
H 1.185540 1.956274 -2.414920

Atoms 1-6, force components in eV/Å:
-1.788 -0.789 -0.748
-2.083 2.966 0.581
-4.003 1.388 -0.397
0.926 -0.102 -0.805
1.104 -4.621 0.968
0.413 1.525 -1.032

Output
SMILES: CP(C)(=O)c1ccsc1
LUMO, eV: 0.7
Kohn-Sham gap, eV: 9.8
Net charge: 0
Relative energy (zero: lowest compared OMol25 entry of this formula, charge and spin), kcal per mole: 8.3

=====

Record 2
Molecular formula: C6HCeO6
Method: DFT, the ωB97M-V functional and the def2-TZVPD basis

CARTESIAN COORDINATES (ANGSTROEM)
O 0.681290 0.020350 -4.746751
C 0.558594 0.016583 -3.597850
Ce -0.065143 -0.002279 0.680116
O 2.902282 0.002804 -1.466304
C 1.946647 0.001378 -0.839958
C -2.417141 -0.019692 1.341156
O -3.543331 -0.028454 1.621795
C -0.272530 -2.462288 0.363529
O -0.404616 -3.603439 0.216795
C -0.320346 2.444389 0.314001
O -0.475860 3.582817 0.144059
H -0.996146 -0.026201 -0.915402
O 1.437249 0.044437 3.978016
C 0.969056 0.029596 2.906796

Atoms 1-6, force components in eV/Å:
-0.518 -0.016 4.685
0.379 0.016 -4.561
1.330 -0.007 -0.573
-3.383 -0.006 2.341
4.762 0.005 -3.320
-8.307 -0.067 1.793

Output
LUMO (spin up / spin down), eV: -16.2 / -16.2
Kohn-Sham gap (spin up / spin down), eV: 6.7 / 6.7
Net charge: +3
Relative energy (zero: lowest compared OMol25 entry of this formula, charge and spin), kcal per mole: 44.2

=====

Record 3
Molecular formula: C70H156F15N5O23P2S5
Method: DFT, the ωB97M-V functional and the def2-TZVPD basis

CARTESIAN COORDINATES (ANGSTROEM)
C -1.257577 -3.472241 4.697677
O -2.091287 -4.583401 4.968417
C -3.252177 -4.464171 4.264657
C -4.445847 -3.564491 4.811117
N -4.791647 -4.012411 6.273497
H -4.929287 -5.012731 6.250857
H -4.069357 -3.807801 6.949167
C -6.196287 -3.613171 6.818017
C -6.273047 -2.058191 6.958797
O -6.424767 -1.457011 5.708227
C -6.589937 -0.048141 5.816607
H -0.339237 -3.607901 5.268957
H -1.667517 -2.540481 5.087377
H -0.948127 -3.318081 3.663957
H -3.563877 -5.508581 4.276807
H -3.188957 -4.478291 3.176587
H -5.325697 -3.860281 4.239747
H -4.330297 -2.481341 4.771937
H -6.328017 -4.161241 7.750947
H -6.960647 -4.048051 6.174037
H -5.463527 -1.643891 7.559747
H -7.156077 -1.814481 7.549537
H -5.858247 0.464209 6.441287
H -7.538477 0.158879 6.312097
H -6.651647 0.317439 4.791597
C -0.143937 -1.867521 -5.821183
O -0.535567 -2.977201 -5.076593
C -0.712737 -4.124511 -5.887673
C -2.156177 -4.154151 -6.394223
N -3.077237 -4.705431 -5.346483
H -3.947997 -4.900721 -5.819503
H -2.753897 -5.562911 -4.921903
C -3.379127 -3.788811 -4.193753